Cheaper courses won't help graduates get jobs – they need good careers advice and links with employers
- Written by Jason Brown, Lecturer in Careers and Employability Learning, La Trobe University
The government’s higher education funding changes aim to ensure graduates are “job-ready”. Students will be charged more for courses the government deems have poorer employment outcomes, to incentivise them into cheaper courses with supposedly better job prospects.
But these changes seem ignorant of the research surrounding future jobs, and the unpredictable nature of the market. Experts predict today’s graduates will have several different careers throughout their working life. A linear path from education to work makes little sense in a rapidly changing world.
Read more: Can government actually predict the jobs of the future?
Changes can also happen fairly quickly that affect the availability of jobs. We saw this in the collapse of IT jobs after the dot-com bubble burst in the 2000s, and the demise of Australia’s car manufacturing industry in the last decade.
Instead of lowering fees for some courses to make them more attractive, the government should ensure better links between study and employment and strengthen careers advice for students to make better choices.
Why cheaper courses won’t help with career choices
Higher education expert Andrew Norton writes 80% of students enrol in courses with a specific job in mind and only 10% based on subject interest. But he explains interests and job goals aren’t mutually exclusive.
He says when survey participants are given the choice of multiple answers for why they chose a course, interest in the field of study is the most popular – more than 90% of respondents say it’s important. While three quarters of respondents say they have a specific job in mind.
This fits with something called vocational interest profiles. This theory holds a person’s choice of occupation is influenced by their personality.
Research on vocational interest profiles found students with a stronger preference for jobs that involve working with people (such as in sales, police work or nursing) had a one in 50 chance of being enrolled in STEM (science, technology, engineering and maths) courses.
Students with a stronger preference for conventional type jobs (those that involve working with data, rules or procedures) had a one in two chance of being enrolled in a STEM course.

Based on the strong link between a person’s interests and their career, the government’s plan to influence this choice by changing the price of courses will likely have a limited effect.
Instead, career education must be better
Research shows starting university students have a poor understanding of the potential careers their degree may lead to.
The government, universities and industry must work together to help students understand how their knowledge, skills and other attributes can be applied in the labour market, and where the opportunities exist.
Students also need better access to career education in high school and at university. Career services in universities have been recognised as under-resourced.
My research has found careers advisers are often employed as generalists, with workloads spread across career counselling, running workshops, developing curricula, designing programs and liaising with employers.
Employing more careers advisers will enable staff to specialise and deliver targeted support to more students.
Read more: The government's funding changes are meddling with the purpose of universities
To be effective, career education should be embedded in all university courses. It should provide opportunities for students to identify their knowledge, skills and other attributes and learn about the range of jobs and industries they can apply these.
It should also teach students how to identify and apply for jobs, and confidently articulate to an employer how they can contribute to the organisation.
Career education should be facilitated by qualified career development practitioners who can design career education programs in collaboration with academics and industry.
Examples of such collaboration include La Trobe University’s Career Ready Advantage, Deakin Talent, and Flinders University’s Horizon Award.
And labour market information
In addition to increased career education, the government needs to provide better labour market information so students can make informed decisions about identifying appropriate job opportunities.
Records of crystals, kept here for reference:
+++
DFT (PBE) results for crystalline TiAlS6 at its relaxed geometry.

Properties
- electronic total energy (eV per cell) = -37.1

Cell lengths 6.600, 6.600, 6.600 Å; angles 60.00, 60.00, 60.00 degrees
Site moments in Bohr magnetons follow the coordinates.
Fractional positions:
S 0.252 0.748 0.252  0.18
S 0.252 0.748 0.748  0.18
S 0.748 0.252 0.748  0.18
S 0.252 0.252 0.748  0.18
S 0.748 0.252 0.252  0.18
S 0.748 0.748 0.252  0.18
Al 0.500 0.500 0.500  0.00
Ti 0.000 0.000 0.000  -0.07

***

DFT (PBE) results for crystalline Nd2AuI at its relaxed geometry.

Properties
- electronic total energy (eV per cell) = -17.7
- energy relative to the lowest polymorph listed for this composition (meV per atom) = 1

Cell lengths 4.240, 4.240, 8.626 Å; angles 75.77, 75.77, 60.00 degrees
Fractional positions:
Nd 0.069 0.069 0.794
Nd 0.264 0.264 0.207
Au 0.668 0.668 0.997
I 0.499 0.499 0.502

***

DFT (PBE) results for crystalline Sb2SeIF at its relaxed geometry.

Properties
- electronic total energy (eV per cell) = -13.2
- energy relative to the lowest polymorph listed for this composition (meV per atom) = 218

Cell lengths 5.449, 5.449, 5.756 Å; angles 90.00, 90.00, 90.00 degrees
Site moments in Bohr magnetons follow the coordinates.
Fractional positions:
Se 0.000 0.000 0.000  -0.02
Sb 0.500 0.000 0.000  0.20
Sb 0.000 0.500 0.000  0.20
I 0.000 0.000 0.500  0.02
F 0.500 0.500 0.500  0.01

***

DFT (PBE) results for crystalline LiPmMgGe at its relaxed geometry.

Properties
- energy relative to the elements (meV per atom) = -324
- electronic total energy (eV per cell) = -14.2

Cell lengths 4.939, 4.939, 4.939 Å; angles 60.00, 60.00, 60.00 degrees
Fractional positions:
Pm 0.500 0.500 0.500
Mg 0.000 0.000 0.000
Li 0.750 0.750 0.750
Ge 0.250 0.250 0.250

***

DFT (PBE) results for crystalline HoPd2Au3 at its relaxed geometry.

Properties
- energy relative to the elements (meV per atom) = -472
- electronic total energy (eV per cell) = -55.3

Cell lengths 5.688, 5.688, 7.426 Å; angles 81.32, 81.32, 102.28 degrees
Fractional positions:
Au 0.605 0.395 0.250
Au 0.819 0.624 0.520
Au 0.181 0.376 0.480
Au 0.624 0.819 0.020
Au 0.376 0.181 0.980
Au 0.395 0.605 0.750
Ho 0.075 0.925 0.750
Ho 0.925 0.075 0.250
Pd 0.341 0.906 0.381
Pd 0.094 0.659 0.119
Pd 0.906 0.341 0.881
Pd 0.659 0.094 0.619

***

DFT (PBE) results for crystalline KP3 at its relaxed geometry.

Properties
- energy relative to the elements (meV per atom) = -102
- electronic total energy (eV per cell) = -35.5
- energy relative to the lowest polymorph listed for this composition (meV per atom) = 0

Cell lengths 5.185, 6.118, 6.751 Å; angles 90.00, 90.00, 90.00 degrees
Fractional positions:
P 0.000 0.318 0.994
P 0.500 0.000 0.285
P 0.500 0.818 0.006
P 0.500 0.182 0.006
P 0.000 0.500 0.715
P 0.000 0.682 0.994
K 0.000 0.000 0.583
K 0.500 0.500 0.417

***

DFT (PBE) results for crystalline La2Te2Cl at its relaxed geometry.

Properties
- electronic total energy (eV per cell) = -53.6
+++
A few resources are currently available, but they only give snippets of information and do not connect.
Two examples include:

ComparED – a website for prospective students to compare courses and universities. The information is limited to graduate starting salaries, the proportion of graduates employed four months after course completion and graduates’ satisfaction with skill development achieved through the course.
This site could be improved by adding data, for each course, on the types of jobs and industries in which graduates find employment.
Job Outlook – a government website that provides labour market information such as average salary and predicted growth or decline in job vacancies.
It also has a handy Skills Match app which gives suggestions on jobs that use skills you have.
The app has limited value for graduates as it determines skills based on jobs you have already done. As an example, if a student has worked as a barista, Skills Match recommends similar jobs such as a kitchen hand or cleaner. It doesn’t ask what course you are studying or have completed, so it won’t recommend barrister if you’ve been studying law.
Together, a deliberate and well-resourced strategy to support university students’ career education and links with industry will be a more effective way to increase labour market productivity than price signals on university courses.